At, we believe that delivering accurate, transparent, and responsible information is our duty to our readers. In an effort to maintain the highest standards of journalism, we are proud to follow the guidelines set forth by the Digital News Publishers Association (DNPA) Code of Conduct.
Our Commitment to Ethical Journalism
Ethical journalism is the cornerstone of a credible and trustworthy media platform. Our team is committed to ensuring that all content published on is:
- Accurate and Factual: We strive to provide precise and verified information on government schemes, policies, and updates, ensuring that our readers receive only reliable content.
- Balanced and Fair: We uphold a neutral standpoint, ensuring that all sides of a story are fairly represented without any bias.
- Transparent and Honest: We aim to be transparent in our editorial processes and clearly distinguish between news, opinions, and advertisements.
- Respect for Privacy: Our team follows strict privacy guidelines and ensures that the personal information of our readers is protected at all times.
DNPA Code of Conduct
The DNPA Code of Conduct is a set of ethical guidelines designed to ensure responsible reporting and uphold the integrity of digital news platforms in India. By adhering to these standards, ensures that our content:
- Upholds the Truth: We avoid any form of misinformation or disinformation and work diligently to fact-check all our news before publication.
- Maintains Editorial Independence: We operate independently and are free from external influences, ensuring unbiased and fact-based reporting.
- Respects the Rights of Individuals: We respect individuals’ rights to privacy and avoid publishing content that could cause unnecessary harm or distress.
- Provides Clear Attribution: We give proper credit to our sources and ensure transparency in our reporting process.
### What comes next are materials data, not part of the piece
........
{
  "formula": "PaCoAs2Rh2",
  "functional": "PBE",
  "state": "relaxed",
  "lattice": [[4.023, 0.000, 0.000], [0.000, 7.802, 0.000], [0.000, 0.000, 6.398]],
  "species": ["As", "As", "As", "As", "Co", "Co", "Pa", "Pa", "Rh", "Rh", "Rh", "Rh"],
  "fractional_positions": [[0.000, 0.139, 0.816], [0.500, 0.793, 0.661], [0.500, 0.293, 0.339], [0.000, 0.639, 0.184], [0.500, 0.246, 0.689], [0.500, 0.746, 0.311], [0.000, 0.987, 0.383], [0.000, 0.487, 0.617], [0.500, 0.550, 0.927], [0.000, 0.829, 0.880], [0.500, 0.050, 0.073], [0.000, 0.329, 0.120]],
  "vol_a3_per_cell": 200.80,
  "space_group": "Pmc2_1, No. 26",
  "e_form_mev_per_atom": -605,
  "dos_ef_per_ev_atom": 0.6639
}


{
  "formula": "Cd3IrN",
  "functional": "PBE",
  "state": "relaxed",
  "lattice": [[4.469, 0.000, 0.000], [0.000, 4.469, 0.000], [0.000, 0.000, 4.469]],
  "species": ["Cd", "Cd", "Cd", "Ir", "N"],
  "fractional_positions": [[0.000, 0.500, 0.000], [0.000, 0.000, 0.500], [0.500, 0.000, 0.000], [0.500, 0.500, 0.500], [0.000, 0.000, 0.000]],
  "e_form_raw_mev_per_atom": 729,
  "vol_a3_per_cell": 89.25,
  "space_group": "Pm-3m, No. 221",
  "relative_energy_ev_per_atom": 0.000,
  "dos_ef_per_ev_atom": 0.3158
}


{
  "formula": "Ac2NpRu2N6",
  "functional": "PBE",
  "state": "relaxed",
  "lattice": [[-3.278, -2.792, 3.889], [-1.361, -5.580, -0.824], [3.384, -4.433, 3.998]],
  "species": ["N", "N", "N", "N", "N", "N", "Np", "Ru", "Ru", "Ac", "Ac"],
  "fractional_positions": [[0.754, 0.226, 0.265], [0.226, 0.754, 0.265], [0.246, 0.774, 0.735], [0.774, 0.246, 0.735], [0.754, 0.754, 0.265], [0.246, 0.246, 0.735], [0.000, 0.000, 0.000], [0.392, 0.392, 0.823], [0.608, 0.608, 0.177], [0.787, 0.787, 0.638], [0.213, 0.213, 0.362]],
  "e_form_raw_mev_per_atom": -518,
  "vol_a3_per_cell": 174.58,
  "space_group": "R-3m, No. 166",
  "dos_ef_per_ev_atom": 0.8827
}


{
  "formula": "PuZnCoOs",
  "functional": "PBE",
  "state": "relaxed",
  "lattice": [[-3.288, -3.007, 0.487], [-1.860, -1.892, -3.613], [0.763, -4.323, -0.910]],
  "species": ["Os", "Pu", "Co", "Zn"],
  "fractional_positions": [[0.000, 0.000, 0.000], [0.250, 0.250, 0.250], [0.500, 0.500, 0.500], [0.750, 0.750, 0.750]],
  "vol_a3_per_cell": 63.70,
  "space_group": "F-43m, No. 216",
  "e_form_mev_per_atom": 58,
  "dos_ef_per_ev_atom": 0.9057
}


{
  "formula": "K2TlAg",
  "functional": "PBE",
  "state": "relaxed",
  "lattice": [[6.878, -0.007, 0.024], [2.941, 6.218, -0.024], [-4.285, -4.094, 3.493]],
  "species": ["K", "K", "Tl", "Ag"],
  "fractional_positions": [[0.731, 0.231, 0.500], [0.030, 0.030, 0.000], [0.452, 0.452, 0.000], [0.288, 0.788, 0.500]],
  "vol_a3_per_cell": 149.13,
  "space_group": "Imm2, No. 44",
  "relative_energy_ev_per_atom": 0.025,
  "e_form_mev_per_atom": -6,
  "dos_ef_per_ev_atom": 0.5509
}


{
  "formula": "Nd5Tm3S8",
  "functional": "PBE",
  "state": "relaxed",
  "lattice": [[-1.759, -5.981, 4.875], [4.954, -6.134, 0.686], [4.212, -0.945, 6.785]],
........
Why It Matters
In today’s digital age, where misinformation can easily spread, maintaining high standards of journalism is more critical than ever. By adhering to the DNPA Code of Conduct, not only safeguards the trust of our readers but also contributes to a healthier media ecosystem.
Our readers can confidently rely on us for trustworthy updates on government schemes, welfare programs, and other news of public interest. We take pride in our ethical practices and will continue to uphold the principles of responsible journalism.
Continuous Improvement
We are constantly evolving and improving our editorial processes to ensure that our content meets the highest ethical standards. We welcome feedback from our readers and remain open to suggestions for improving the quality of our journalism.
For any inquiries or feedback regarding our ethical practices and adherence to the DNPA Code of Conduct, please feel free to reach out to us at